**Assignment:**
What is needed: repeat everything further below without altering anything.

**Input:**
********
Arrangement 1

{"formula": "C3H5NO", "method": "ωB97M-V/def2-TZVPD", "elements": ["C", "O", "C", "C", "N", "H", "H", "H", "H", "H"], "coordinates": [[-1.0989, 0.6685, 0.2551], [-0.5152, 0.2522, -0.9643], [0.5273, -0.6605, -0.7900], [1.5094, -0.2489, 0.2417], [2.2330, 0.0609, 1.0887], [-2.0265, 1.1876, 0.0094], [-0.4173, 1.3412, 0.7931], [-1.3374, -0.1869, 0.9080], [1.0415, -0.7511, -1.7501], [0.1484, -1.6522, -0.4990]], "lowdin_charge": [-0.106, -0.176, -0.222, -0.193, 0.155, 0.092, 0.088, 0.098, 0.132, 0.132], "orbital_gap_ev": 11.636, "e_homo_ev": -10.82, "charge": 0, "e_lumo_ev": 0.82, "smiles": "COCC#N"}

Arrangement 2

{"formula": "C3H5NO", "method": "ωB97M-V/def2-TZVPD", "elements": ["O", "C", "C", "C", "N", "H", "H", "H", "H", "H"], "coordinates": [[1.4883, 0.2192, 1.4134], [1.3095, -0.5187, 0.4445], [0.4130, -0.2435, -0.6405], [-1.0233, -0.3934, -0.4649], [-0.5349, 0.9597, -0.1510], [1.9179, -1.4285, 0.2998], [-0.1334, 1.5312, -0.8761], [-1.7234, -0.4522, -1.2965], [-1.3966, -0.8573, 0.4507], [-0.3170, 1.1836, 0.8206]], "lowdin_charge": [-0.034, -0.336, -0.149, -0.142, 0.064, 0.112, 0.134, 0.104, 0.122, 0.126], "orbital_gap_ev": 9.298, "e_homo_ev": -8.37, "charge": 0, "e_lumo_ev": 0.93, "smiles": "[O-]/C=C1/C[NH2+]1"}

Arrangement 3

{"formula": "C3H5NO", "method": "ωB97M-V/def2-TZVPD", "elements": ["C", "C", "C", "H", "H", "H", "H", "H", "N", "O"], "coordinates": [[0.0719, -0.5067, 0.1812], [0.1559, 0.9430, -0.2758], [-0.7550, 1.4629, -1.1506], [1.2052, 0.4400, 2.1193], [0.7051, -1.2592, 2.2391], [0.8865, 1.5108, 0.1866], [-0.5453, 2.4425, -1.5780], [-1.6954, 0.8642, -1.3678], [1.3029, -0.7250, 0.8749], [-0.8141, -1.2899, -0.0316]], "lowdin_charge": [-0.687, -0.147, 0.056, 0.246, 0.229, 0.036, 0.057, 0.094, 0.042, 0.074], "orbital_gap_ev": 8.709, "e_homo_ev": -10.11, "charge": 0, "e_lumo_ev": -1.40}

Arrangement 4

{"formula": "C3H5NO", "method": "ωB97M-V/def2-TZVPD", "elements": ["C", "C", "O", "C", "N", "H", "H", "H", "H", "H"], "coordinates": [[-1.4206, 0.1672, 0.0017], [-0.0071, 0.1757, 0.5205], [1.9242, -0.8496, -0.9903], [1.1425, 0.0022, -0.3089], [1.0258, 1.2181, -0.0609], [-1.4458, 0.2590, -1.0873], [-1.9990, 0.9877, 0.4359], [-1.9155, -0.7723, 0.2717], [0.0950, -0.0201, 1.5894], [2.6005, -1.1679, -0.3717]], "lowdin_charge": [-0.079, -0.249, 0.093, -0.455, 0.226, 0.078, 0.073, 0.074, 0.114, 0.124], "orbital_gap_ev": 10.479, "e_homo_ev": -9.90, "charge": 0, "e_lumo_ev": 0.58, "smiles": "C[C@@H]1N=C1O"}

Which is most stable? The ranking, best first, is arrangement 1, arrangement 4, arrangement 2, arrangement 3.

Arrangement 1

{"formula": "C5H3F", "method": "ωB97M-V/def2-TZVPD", "elements": ["C", "C", "C", "C", "C", "H", "H", "H", "F"], "coordinates": [[2.0398, 0.3113, 0.0075], [0.6022, 0.1052, -0.0297], [-0.5713, -0.0465, -0.0072], [-1.9767, -0.2496, 0.0000], [-3.1682, -0.4096, 0.0095], [2.3067, 0.8191, -0.8946], [2.3241, 0.8965, 0.9081], [-4.2485, -0.4983, 0.0013], [2.6918, -0.9282, 0.0050]], "lowdin_charge": [-0.192, 0.009, -0.033, -0.133, 0.115, 0.109, 0.134, 0.044, -0.053], "orbital_gap_ev": 10.639, "e_homo_ev": -9.85, "charge": 0, "e_lumo_ev": 0.79, "smiles": "C#CC#CCF"}

Arrangement 2

{"formula": "C5H3F", "method": "ωB97M-V/def2-TZVPD", "elements": ["C", "C", "C", "C", "C", "F", "H", "H", "H"], "coordinates": [[-1.3248, 0.1613, -0.0290], [-2.6884, -0.0369, 0.0676], [-0.0744, -0.4153, 0.0144], [1.1047, -0.9593, -0.0034], [-2.5910, 1.2858, -0.0181], [-3.6665, -0.9172, -0.0125], [1.7492, -1.3320, -0.8408], [1.6090, -1.1386, 0.8783], [-2.4767, 2.2266, 0.3479]], "lowdin_charge": [-0.077, -0.329, -0.053, -0.032, 0.219, 0.126, 0.075, 0.016, 0.054], "orbital_gap_ev": 8.888, "e_homo_ev": -8.34, "charge": 0, "e_lumo_ev": 0.55, "smiles": "C=C=C1C=C1F"}

Which is most stable? The ranking, best first, is arrangement 1, arrangement 2.

Arrangement 1
********

**Worked solution:**
Arrangement 1

{"formula": "C3H5NO", "method": "ωB97M-V/def2-TZVPD", "elements": ["C", "O", "C", "C", "N", "H", "H", "H", "H", "H"], "coordinates": [[-1.0989, 0.6685, 0.2551], [-0.5152, 0.2522, -0.9643], [0.5273, -0.6605, -0.7900], [1.5094, -0.2489, 0.2417], [2.2330, 0.0609, 1.0887], [-2.0265, 1.1876, 0.0094], [-0.4173, 1.3412, 0.7931], [-1.3374, -0.1869, 0.9080], [1.0415, -0.7511, -1.7501], [0.1484, -1.6522, -0.4990]], "lowdin_charge": [-0.106, -0.176, -0.222, -0.193, 0.155, 0.092, 0.088, 0.098, 0.132, 0.132], "orbital_gap_ev": 11.636, "e_homo_ev": -10.82, "charge": 0, "e_lumo_ev": 0.82, "smiles": "COCC#N"}

Arrangement 2

{"formula": "C3H5NO", "method": "ωB97M-V/def2-TZVPD", "elements": ["O", "C", "C", "C", "N", "H", "H", "H", "H", "H"], "coordinates": [[1.4883, 0.2192, 1.4134], [1.3095, -0.5187, 0.4445], [0.4130, -0.2435, -0.6405], [-1.0233, -0.3934, -0.4649], [-0.5349, 0.9597, -0.1510], [1.9179, -1.4285, 0.2998], [-0.1334, 1.5312, -0.8761], [-1.7234, -0.4522, -1.2965], [-1.3966, -0.8573, 0.4507], [-0.3170, 1.1836, 0.8206]], "lowdin_charge": [-0.034, -0.336, -0.149, -0.142, 0.064, 0.112, 0.134, 0.104, 0.122, 0.126], "orbital_gap_ev": 9.298, "e_homo_ev": -8.37, "charge": 0, "e_lumo_ev": 0.93, "smiles": "[O-]/C=C1/C[NH2+]1"}

Arrangement 3

{"formula": "C3H5NO", "method": "ωB97M-V/def2-TZVPD", "elements": ["C", "C", "C", "H", "H", "H", "H", "H", "N", "O"], "coordinates": [[0.0719, -0.5067, 0.1812], [0.1559, 0.9430, -0.2758], [-0.7550, 1.4629, -1.1506], [1.2052, 0.4400, 2.1193], [0.7051, -1.2592, 2.2391], [0.8865, 1.5108, 0.1866], [-0.5453, 2.4425, -1.5780], [-1.6954, 0.8642, -1.3678], [1.3029, -0.7250, 0.8749], [-0.8141, -1.2899, -0.0316]], "lowdin_charge": [-0.687, -0.147, 0.056, 0.246, 0.229, 0.036, 0.057, 0.094, 0.042, 0.074], "orbital_gap_ev": 8.709, "e_homo_ev": -10.11, "charge": 0, "e_lumo_ev": -1.40}

Arrangement 4

{"formula": "C3H5NO", "method": "ωB97M-V/def2-TZVPD", "elements": ["C", "C", "O", "C", "N", "H", "H", "H", "H", "H"], "coordinates": [[-1.4206, 0.1672, 0.0017], [-0.0071, 0.1757, 0.5205], [1.9242, -0.8496, -0.9903], [1.1425, 0.0022, -0.3089], [1.0258, 1.2181, -0.0609], [-1.4458, 0.2590, -1.0873], [-1.9990, 0.9877, 0.4359], [-1.9155, -0.7723, 0.2717], [0.0950, -0.0201, 1.5894], [2.6005, -1.1679, -0.3717]], "lowdin_charge": [-0.079, -0.249, 0.093, -0.455, 0.226, 0.078, 0.073, 0.074, 0.114, 0.124], "orbital_gap_ev": 10.479, "e_homo_ev": -9.90, "charge": 0, "e_lumo_ev": 0.58, "smiles": "C[C@@H]1N=C1O"}

Which is most stable? The ranking, best first, is arrangement 1, arrangement 4, arrangement 2, arrangement 3.

Arrangement 1

{"formula": "C5H3F", "method": "ωB97M-V/def2-TZVPD", "elements": ["C", "C", "C", "C", "C", "H", "H", "H", "F"], "coordinates": [[2.0398, 0.3113, 0.0075], [0.6022, 0.1052, -0.0297], [-0.5713, -0.0465, -0.0072], [-1.9767, -0.2496, 0.0000], [-3.1682, -0.4096, 0.0095], [2.3067, 0.8191, -0.8946], [2.3241, 0.8965, 0.9081], [-4.2485, -0.4983, 0.0013], [2.6918, -0.9282, 0.0050]], "lowdin_charge": [-0.192, 0.009, -0.033, -0.133, 0.115, 0.109, 0.134, 0.044, -0.053], "orbital_gap_ev": 10.639, "e_homo_ev": -9.85, "charge": 0, "e_lumo_ev": 0.79, "smiles": "C#CC#CCF"}

Arrangement 2

{"formula": "C5H3F", "method": "ωB97M-V/def2-TZVPD", "elements": ["C", "C", "C", "C", "C", "F", "H", "H", "H"], "coordinates": [[-1.3248, 0.1613, -0.0290], [-2.6884, -0.0369, 0.0676], [-0.0744, -0.4153, 0.0144], [1.1047, -0.9593, -0.0034], [-2.5910, 1.2858, -0.0181], [-3.6665, -0.9172, -0.0125], [1.7492, -1.3320, -0.8408], [1.6090, -1.1386, 0.8783], [-2.4767, 2.2266, 0.3479]], "lowdin_charge": [-0.077, -0.329, -0.053, -0.032, 0.219, 0.126, 0.075, 0.016, 0.054], "orbital_gap_ev": 8.888, "e_homo_ev": -8.34, "charge": 0, "e_lumo_ev": 0.55, "smiles": "C=C=C1C=C1F"}

Which is most stable? The ranking, best first, is arrangement 1, arrangement 2.

Arrangement 1